December 18, 2011

Daikon Rolled with Meat, etc./大根の肉巻きなど

As part of supper tonight, I made daikon rolled with meat and other deep-fried items.

First, a photo of snow on the road just in front of my house yesterday morning:
I "roasted" some of the hatomugi (Job's Tears) given by my father in the toaster oven.
That's another story.

I made "sweet potato" with a little help from my daughter.
That's another story, too.

Make ten sheets of daikon measuring approx. 10 x 8 x 0.3 cm. Put them in a bowl, add some (1 tsp salt) salt, rub well, and let stand. Roll each sheet with a thin slice of pork.
約10 x 8 x 0.3 cmの薄い大根のシートを作ります。ボールに入れ、塩を少々(小さじ1)入れ、よくもみ、放置します。各シートを豚の薄切りと一緒に巻きます。
I know that my children wouldn't be satisfied with the niku maki alone, so I made french fries (called fried potato in japanese), too.
And, meat balls, too.
Ground pork + grated ginger + one egg + potato starch + some salt

Sprinkle some pepper (but no salt, because the daikon sheets are already salted) on the rolls, dust with flour, coat with beaten egg, and coat with panko.
Deep-fry for 3-4 min. at 180C.
I had mine with tonkatsu sauce and lemon juice.


  1. Hi, Out of curiosity I had peeped into your blog. I hardly know about Japanese cusine, and wanted to explore it. Most of the names are new to me, but Job'tears, looked very nice indeed.

  2. Hiroyuki both the rolls and the balls look terrific! (not to mention the fried potatoes). Your making-of photos are excellent!
    It's the first time I read about Job's Tears, so I have checked it at wikipedia. Apparently it is used in Japan to make vinegar. Is it true? I am very curious about what you will do with it!

  3. gardenerat60: Thanks for peeing into my blog from India! I'm sure that there are other wonderful blogs and sites on Japanese cuisine that will interest you. Come to my blog if you want to see ordinary, sometimes somewhat mediore Japanese dishes!

  4. Sissi: You can make vinegar from fruits including persimmons and grains including hatomugi, but I just wanted to make hatomugi cha (= tea), similar to mugi cha (barley tea).

  5. Thank you! It sounds very intriguing!

  6. Beautiful snow!!!! I don't see a lot of it in Texas. I do need to find a frying pot like the one you have, I fry very infrequently, but it would still be nice to have.

  7. muskratbyte: A cast iron pot especially for deep-frying is something you will want to have if you want to make decent tempura, tonkatsu, and other deep-fried items.

    No one here likes snow, except children...

  8. Hiroyuki-san

    I am very interested to see that you have hatomugi! I understand that it is often made into a beverage or sometimes eaten in the yuuki form by people following a macrobiotic diet. How did you use it?

    I would like to try growing this plant in the UK. Although our climate is quite cold, the ornamental variety which we call Job's tears generally grows quite well. Do you know it is possible to purchase small qauntities of seeds of hatomugi varieties from northern Japan? I hear that some good ones grow in Hokkaido.

  9. Rhizowen: I just used it to make tea.
    Hatomugi is often cooked with rice, as you say, but I don't have the necessary equipment.

    Sorry, I don't know the availability of Japanese hatomugi varieties in your country. I did some googling and found that the variety "Okhotsk 1 Go" can be grown in Southern Hokkaido.

  10. Thanks Hiroyuki

    I'll investigate further that variety.

    There are some people in UK growing Japanese vegetables for sale commercially. I haven't visited, but maybe one day when I'm in the area I will

  11. Rhizowen: Thanks for the link.

    I think your investigation will be facilitated by sending an inquiry to that firm.

The text is interrupted by crystal structures =
(1)
Ni3SnSe2S2: simulated XRD peak list (Cu Kα X-rays), based on a crystal structure in OQMD, relaxed with PBE.
No peak broadening, texture or thermal motion is included.

Cell and atoms:
a = 6.6085 Å, b = 6.6085 Å, c = 5.4205 Å
α = 113.96°, β = 113.96°, γ = 48.34°
Element x y z (fractional)
1 Ni 0.0000 0.0000 0.0000
2 Ni 0.2768 0.2235 0.7765
3 Ni 0.7765 0.7232 0.2235
4 Sn 0.5391 0.4609 0.5000
5 Se 0.1026 0.6159 0.6379
6 Se 0.3841 0.8974 0.3621
7 S 0.6632 0.0611 0.0837
8 S 0.9389 0.3368 0.9163

Largest 12 diffraction maxima, sorted by position, 2θ from 10° to 90°:
| Position (°2θ) | intensity |
| --- | --- |
| 18.30 | 5 |
| 28.58 | 100 |
| 29.78 | 9 |
| 38.06 | 12 |
| 47.46 | 32 |
| 47.61 | 31 |
| 56.24 | 7 |
| 56.40 | 26 |
| 56.58 | 6 |
| 76.97 | 5 |
| 88.46 | 6 |
| 88.62 | 5 |

---

(2)
RbLi2CdC2O6F: simulated XRD peak list (Cu Kα X-rays), based on a crystal structure in OQMD, relaxed with PBE.
No peak broadening, texture or thermal motion is included.

Cell and atoms:
a = 4.9153 Å, b = 4.9153 Å, c = 15.1689 Å
α = 90.00°, β = 90.00°, γ = 120.00°
Element x y z (fractional)
1 Rb 0.0000 0.0000 0.2500
2 Rb 0.0000 0.0000 0.7500
3 Li 0.3333 0.6667 0.1303
4 Li 0.3333 0.6667 0.3697
5 Li 0.6667 0.3333 0.6303
6 Li 0.6667 0.3333 0.8697
7 Cd 0.0000 0.0000 0.0000
8 Cd 0.0000 0.0000 0.5000
9 C 0.3333 0.6667 0.5908
10 C 0.3333 0.6667 0.9092
11 C 0.6667 0.3333 0.0908
12 C 0.6667 0.3333 0.4092
13 O 0.0691 0.4040 0.5915
14 O 0.0691 0.4040 0.9085
15 O 0.3350 0.9309 0.5915
16 O 0.3350 0.9309 0.9085
17 O 0.4040 0.3350 0.0915
18 O 0.4040 0.3350 0.4085
19 O 0.5960 0.6650 0.5915
20 O 0.5960 0.6650 0.9085
21 O 0.6650 0.0691 0.0915
22 O 0.6650 0.0691 0.4085
23 O 0.9309 0.5960 0.0915
24 O 0.9309 0.5960 0.4085
25 F 0.3333 0.6667 0.2500
26 F 0.6667 0.3333 0.7500

Largest 12 diffraction maxima, sorted by position, 2θ from 10° to 90°:
| Position (°2θ) | intensity |
| --- | --- |
| 11.67 | 15 |
| 20.87 | 77 |
| 23.46 | 12 |
| 31.60 | 100 |
| 36.56 | 34 |
| 42.47 | 18 |
| 43.90 | 42 |
| 49.08 | 23 |
| 52.86 | 18 |
| 57.26 | 15 |
| 61.80 | 16 |
| 62.73 | 23 |

---

(3)
CuAg2: simulated XRD peak list (Cu Kα X-rays), based on a crystal structure in OQMD, relaxed with PBE.
No peak broadening, texture or thermal motion is included.

Cell and atoms:
a = 4.9368 Å, b = 4.9368 Å, c = 11.5761 Å
α = 112.51°, β = 112.51°, γ = 33.87°
Element x y z (fractional)
1 Cu 0.0000 0.0000 0.0000
2 Cu 0.3436 0.3436 0.7979
3 Cu 0.6564 0.6564 0.2021
4 Ag 0.0104 0.0104 0.3279
5 Ag 0.3293 0.3293 0.4308
6 Ag 0.3341 0.3341 0.1094
7 Ag 0.6659 0.6659 0.8906
8 Ag 0.6707 0.6707 0.5692
9 Ag 0.9896 0.9896 0.6721

Largest 12 diffraction maxima, sorted by position, 2θ from 10° to 90°:
| Position (°2θ) | intensity |
| --- | --- |
| 38.80 | 49 |
| 39.06 | 100 |
| 39.15 | 52 |
| 44.48 | 69 |
| 47.11 | 25 |
| 64.60 | 10 |
| 64.83 | 11 |
| 66.54 | 16 |
| 67.03 | 17 |
| 77.92 | 11 |
| 78.19 | 11 |
| 78.40 | 24 |

---

(4)

    Anyway, I hope you find your hatomugi seeds soon!
